Work order:
Say how many lines of the lines below hold the word "atoms", as a bare number.

File:
+++
Entry 1:
A single C4H6Cl2S molecule at a distorted geometry, computed with ωB97M-V/def2-TZVPD.

Geometry as ORCA input:
```
! RIJCOSX wB97M-V def2-TZVPD def2/J DEFGRID3
* xyz 0 1
C -0.28942 1.77423 -0.80777
C -0.41167 0.63758 0.21975
C 0.25821 -0.51969 0.17122
C 0.09794 -1.68068 1.11312
H 0.64503 -0.08421 -1.98402
H -1.31238 2.04402 -1.19509
H 0.11039 2.52262 -0.17410
H -1.35539 0.84845 0.84504
H 1.10646 -0.61190 -0.36189
H -0.75728 -1.39330 1.81601
S 0.83039 1.54580 -2.00534
Cl -0.31157 -3.12928 0.10856
Cl 1.38929 -1.95364 2.25449
*
```

SMILES: SC/C=C/C(Cl)Cl
Lowest unoccupied orbital energy (Ha): 0.023
Maximum force (Eh/bohr): 0.11389
Electronic energy (hartree): -1474.49311
HOMO (eV): -9.145

Results of the natural (NBO) charge analysis, in e, for atoms 1 through 2: atom 1 (C): -0.66, atom 2 (C): -0.11


Entry 2:
A single C4H6ClF molecule at a distorted geometry, computed with ωB97M-V/def2-TZVPD.

Geometry as ORCA input:
```
! RIJCOSX wB97M-V def2-TZVPD def2/J DEFGRID3
* xyz 0 1
C 0.72071 1.28975 -0.36347
C -0.12338 0.00094 -0.58487
C -1.11677 -0.40526 0.43938
C 0.25624 -1.13044 0.38664
H 0.41165 1.74154 0.63443
H 1.82022 1.26652 -0.33639
H 0.42222 1.92640 -1.16145
H -0.28783 -0.31868 -1.64384
H -1.13822 -0.00048 1.43557
H 0.91806 -0.82665 1.18462
F -2.43841 -0.83493 0.18301
Cl 0.55551 -2.70870 -0.17362
*
```

SMILES: C[C@@H]1[C@@H](F)[C@H]1Cl
Lowest unoccupied orbital energy (Ha): 0.036
Maximum force (Eh/bohr): 0.04173
Electronic energy (hartree): -716.00100
HOMO (eV): -9.576

Results of the natural (NBO) charge analysis, in e, for atoms 1 through 2: atom 1 (C): -0.61, atom 2 (C): -0.27


Entry 3:
A single C4H6ClF molecule at a distorted geometry, computed with ωB97M-V/def2-TZVPD.

Geometry as ORCA input:
```
! RIJCOSX wB97M-V def2-TZVPD def2/J DEFGRID3
* xyz 0 1
C 0.28897 -1.55287 0.20213
C 0.64102 -0.29855 -0.57112
C 0.06605 0.90615 -0.53681
C -0.83880 1.27236 0.52446
H -0.62559 -1.60755 0.85812
H 0.16902 -2.26955 -0.56246
H 1.15581 -1.92327 0.82869
H -1.31946 0.31829 0.84304
H -0.34941 1.77129 1.31748
H -1.63490 1.95679 0.12096
F 0.43191 1.88664 -1.39237
Cl 2.01538 -0.45971 -1.63212
*
```

SMILES: C/C(F)=C(\C)Cl
Lowest unoccupied orbital energy (Ha): 0.033
Maximum force (Eh/bohr): 0.06061
Electronic energy (hartree): -716.03829
HOMO (eV): -8.976

Results of the natural (NBO) charge analysis, in e, for atoms 1 through 2: atom 1 (C): -0.65, atom 2 (C): -0.10


Entry 4:
A single C4H6ClF molecule at a distorted geometry, computed with ωB97M-V/def2-TZVPD.

Geometry as ORCA input:
```
! RIJCOSX wB97M-V def2-TZVPD def2/J DEFGRID3
* xyz 0 1
C 0.11434 0.56157 -0.67509
C -0.53274 0.67745 0.68538
C -0.28245 -0.95938 0.82112
C 0.85998 -0.64207 -0.24699
H 0.17161 1.28785 1.09208
H -1.56037 1.17387 0.66039
H -1.26071 -1.27040 0.00571
H -0.15117 -1.54709 1.70108
H 0.93140 -1.41404 -1.06307
H 1.95470 -0.57038 0.06907
F -0.85523 0.52496 -1.79302
Cl 0.61064 2.17765 -1.25666
*
```

SMILES: FC1(Cl)CCC1
Lowest unoccupied orbital energy (Ha): 0.033
Maximum force (Eh/bohr): 0.12087
Electronic energy (hartree): -715.95704
HOMO (eV): -10.633

Results of the natural (NBO) charge analysis, in e, for atoms 1 through 2: atom 1 (C): 0.36, atom 2 (C): -0.44


Entry 5:
A single C4H6ClF molecule at a distorted geometry, computed with ωB97M-V/def2-TZVPD.

Geometry as ORCA input:
```
! RIJCOSX wB97M-V def2-TZVPD def2/J DEFGRID3
* xyz 0 1
C 0.18352 0.97283 1.15034
C -0.05960 0.26645 -0.20042
C 0.99684 -0.68183 -0.45993
C 2.22890 -0.55911 0.04248
H -0.68048 1.51694 1.02576
H 1.06790 1.71774 0.95456
H 0.35746 0.32274 2.09448
H 0.48553 -1.43383 -1.29024
H 2.44292 0.38503 0.83093
H 3.14642 -0.95742 -0.34005
F -0.41577 1.21122 -1.09994
Cl -1.36328 -0.73189 0.20172
*
```

SMILES: C=C[C@@](C)(F)Cl
Lowest unoccupied orbital energy (Ha): 0.035
Maximum force (Eh/bohr): 0.08872
Electronic energy (hartree): -715.96503
HOMO (eV): -10.109

Results of the natural (NBO) charge analysis, in e, for atoms 1 through 2: atom 1 (C): -0.65, atom 2 (C): 0.26


Entry 6:
+++

Here it is:
5